Russians Can't Dance (Chapter 3 "The Diversion")
**Inserted here: calculated crystals:**
Entry 1:
Y3Tm2Tl4: simulated powder diffraction line list (Cu Ka), based on a structure optimized by DFT (PBE).

Principal peaks in the range 2θ from 15° to 90°, most intense first:
31.1°, I = 100; 32.9°, I = 63; 49.2°, I = 22; 29.6°, I = 20; 37.3°, I = 20; 21.7°, I = 19; 42.5°, I = 19; 69.0°, I = 17; 34.2°, I = 17; 30.1°, I = 17

Atomic structure:
Lattice parameters (Å, degrees): 8.513 8.513 9.651 90.00 90.00 130.29
Positions (direct):
Y: 0.000 0.000 0.000
Y: 0.039 0.461 0.250
Y: 0.461 0.039 0.750
Y: 0.500 0.500 0.500
Y: 0.539 0.961 0.250
Y: 0.961 0.539 0.750
Tm: 0.107 0.893 0.448
Tm: 0.393 0.607 0.948
Tm: 0.607 0.393 0.052
Tm: 0.893 0.107 0.552
Tl: 0.197 0.803 0.029
Tl: 0.243 0.257 0.250
Tl: 0.257 0.243 0.750
Tl: 0.303 0.697 0.529
Tl: 0.697 0.303 0.471
Tl: 0.743 0.757 0.250
Tl: 0.757 0.743 0.750
Tl: 0.803 0.197 0.971

***

Entry 2:
Y4Tm3Tl4: simulated powder diffraction line list (Cu Ka), based on a structure optimized by DFT (PBE).

Principal peaks in the range 2θ from 15° to 90°, most intense first:
31.4°, I = 100; 32.6°, I = 96; 34.5°, I = 95; 31.8°, I = 53; 58.4°, I = 41; 39.0°, I = 34; 46.4°, I = 31; 63.6°, I = 28; 38.0°, I = 26; 50.2°, I = 23

Atomic structure:
Lattice parameters (Å, degrees): 10.622 10.622 10.622 160.29 127.03 57.07
Positions (direct):
Y: 0.025 0.838 0.188
Y: 0.350 0.162 0.188
Y: 0.650 0.838 0.812
Y: 0.975 0.162 0.812
Tm: 0.000 0.500 0.500
Tm: 0.404 0.404 0.000
Tm: 0.596 0.596 0.000
Tl: 0.270 0.770 0.500
Tl: 0.280 0.000 0.280
Tl: 0.720 0.000 0.720
Tl: 0.730 0.230 0.500

***

Entry 3:
Y3Tm2Tl: simulated powder diffraction line list (Cu Ka), based on a structure optimized by DFT (PBE).

Principal peaks in the range 2θ from 15° to 90°, most intense first:
33.2°, I = 100; 31.1°, I = 94; 40.5°, I = 58; 29.7°, I = 55; 32.8°, I = 46; 25.3°, I = 40; 58.6°, I = 34; 61.7°, I = 30; 33.6°, I = 28; 39.4°, I = 27

Atomic structure:
Lattice parameters (Å, degrees): 9.148 9.148 7.053 90.00 90.00 39.00
Positions (direct):
Y: 0.170 0.830 0.750
Y: 0.361 0.361 0.000
Y: 0.361 0.361 0.500
Y: 0.639 0.639 0.000
Y: 0.639 0.639 0.500
Y: 0.830 0.170 0.250
Tm: 0.173 0.204 0.750
Tm: 0.204 0.173 0.250
Tm: 0.796 0.827 0.750
Tm: 0.827 0.796 0.250
Tl: 0.314 0.686 0.250
Tl: 0.686 0.314 0.750

***

Entry 4:
Y2Tm2Tl: simulated powder diffraction line list (Cu Ka), based on a structure optimized by DFT (PBE).

Principal peaks in the range 2θ from 15° to 90°, most intense first:
34.5°, I = 100; 33.0°, I = 53; 29.9°, I = 52; 32.6°, I = 47; 30.7°, I = 42; 66.3°, I = 22; 57.9°, I = 21; 62.2°, I = 18; 49.9°, I = 15; 56.9°, I = 15

Atomic structure:
Lattice parameters (Å, degrees): 6.409 6.409 8.495 107.52 107.52 100.56
Positions (direct):
Y: 0.133 0.762 0.782
Y: 0.238 0.867 0.218
Y: 0.762 0.133 0.782
Y: 0.867 0.238 0.218
Tm: 0.224 0.224 0.621
Tm: 0.339 0.339 0.081
Tm: 0.661 0.661 0.919
Tm: 0.776 0.776 0.379
Tl: 0.340 0.660 0.500
Tl: 0.660 0.340 0.500

***

Entry 5:
**Back to the page:**

=====
1.
This entry pairs a crystal structure of Li2TePbSe4 with its theoretical powder XRD pattern. Radiation: copper Kα. Structure: DFT lattice parameters and positions (PBE).

Structural model:
```
16
Lattice="-4.087 4.130 5.754 4.087 -4.130 5.754 4.087 4.130 -5.754" Properties=species:S:1:pos:R:3 pbc="T T T"
Li 0.000 0.000 0.000
Li -2.044 2.065 2.877
Li 0.000 4.130 0.000
Li 2.044 2.065 2.877
Te 2.044 2.065 -2.877
Te 2.044 -2.065 2.877
Pb 4.087 0.000 0.000
Pb 0.000 0.000 5.754
Se 4.087 4.093 -3.041
Se 1.860 2.065 -0.037
Se 2.227 -2.065 5.718
Se 4.087 -0.037 3.041
Se 0.000 4.166 2.713
Se 1.860 6.194 0.037
Se 2.227 2.065 5.791
Se 0.000 0.037 8.796
```

Most intense lines, 10 to 90 degrees two-theta, in order of rising 2θ:
d (Å), 2θ/deg, I (rel.)
6.683, 13.25, 70
3.510, 25.37, 33
3.473, 25.65, 18
2.905, 30.78, 100
2.877, 31.08, 48
2.656, 33.75, 37
2.065, 43.85, 19
2.044, 44.31, 88
1.678, 54.72, 19
1.666, 55.12, 18

***

2.
This entry pairs a crystal structure of LiTmPb2Se4 with its theoretical powder XRD pattern. Radiation: copper Kα. Structure: DFT lattice parameters and positions (PBE).

Structural model:
```
8
Lattice="7.195 0.000 0.000 0.000 4.194 0.000 -2.341 0.000 6.977" Properties=species:S:1:pos:R:3 pbc="T T T"
Li 0.000 0.000 0.000
Tm 3.598 2.097 0.000
Pb -1.171 2.097 3.489
Pb 2.427 0.000 3.489
Se 1.241 2.097 1.561
Se 0.041 0.000 5.433
Se 4.813 0.000 1.544
Se 3.613 2.097 5.416
```

Most intense lines, 10 to 90 degrees two-theta, in order of rising 2θ:
d (Å), 2θ/deg, I (rel.)
3.417, 26.08, 18
2.985, 29.94, 100
2.953, 30.26, 48
2.736, 32.73, 16
2.124, 42.56, 18
2.117, 42.71, 36
2.097, 43.14, 19
2.082, 43.47, 37
1.710, 53.60, 20
1.341, 70.16, 15

***

3.
This entry pairs a crystal structure of Li4SmPb4 with its theoretical powder XRD pattern. Radiation: copper Kα. Structure: DFT lattice parameters and positions (PBE).

Structural model:
```
18
Lattice="6.741 0.000 0.000 0.000 6.741 0.000 0.000 0.000 9.611" Properties=species:S:1:pos:R:3 pbc="T T T"
Li 0.201 1.685 1.649
Li 1.685 0.201 6.454
Li 1.685 3.170 6.454
Li 3.170 1.685 1.649
Li 3.571 5.056 7.962
Li 5.056 3.571 3.157
Li 5.056 6.540 3.157
Li 6.540 5.056 7.962
Sm 1.685 5.056 2.403
Sm 5.056 1.685 7.208
Pb 0.141 1.685 4.447
Pb 1.685 0.141 9.252
Pb 1.685 3.230 9.252
Pb 3.230 1.685 4.447
Pb 3.511 5.056 5.164
Pb 5.056 3.511 0.359
Pb 5.056 6.600 0.359
Pb 6.600 5.056 5.164
```

Most intense lines, 10 to 90 degrees two-theta, in order of rising 2θ:
d (Å), 2θ/deg, I (rel.)
4.805, 18.46, 36
3.180, 28.06, 100
2.893, 30.90, 19
2.876, 31.09, 18
2.383, 37.75, 17
2.322, 38.78, 29
2.135, 42.34, 44
1.685, 54.45, 12
1.621, 56.81, 15
1.489, 62.36, 19

***

4.
This entry pairs a crystal structure of Li2Sm5Pb4 with its theoretical powder XRD pattern. Radiation: copper Kα. Structure: DFT lattice parameters and positions (PBE).

Structural model:
```
11
Lattice="10.715 -2.261 0.000 10.715 2.261 0.000 -2.686 0.000 7.154" Properties=species:S:1:pos:R:3 pbc="T T T"
Li 1.246 0.000 0.487
Li 17.497 0.000 6.666
=====
**End of the calculated crystals**
Chapter III “The Diversion”
Christine and John arrive at the ball, and as the driver gets out of the limo, he goes around, and opens Christine’s door, as she gets out, her purse drops in a puddle. Christine picks it up and wipes off what little wetness there is on it.
Then John splashes on the scene by getting out of the car door and stepping straight in the same puddle. John, thirty-eight, and very athletically buffed, and women think he’s chiseled by Aphrodite, herself. Christine, is a 6 foot three, shimmering sleek figure, with black as coal shiny hair, that flows down her back and down to her waist. Her hair swaying gently, as golden vapors would in a breeze, she takes John’s hand, as they walked to the foyer and front door.
The red carpet is out, as all types of diplomatic personnel and government officials, with their wives are here for this gala event, which John was led to believe is Yuri Kuryenko’s birthday. Now, John knows who the present is for, because originally John thought, that the present was for Mrs. Kuryenko. Christine chuckled as they were walking up the carpet, as she mentioned to John, “Let’s get it right, John.”
As John and Christine entered, and were announced to the congregation, John quickly scans and observes as much as he can, without acting like an ostrich appearing and looking about.
A butler gathers their attention, and guides them to their table, where John politely excuses himself, and so does Christine as she takes this opportunity to freshen up. They both go off to their destinations, however John meanders around the balcony, and stops midway to the bathroom and enters Yuri Kuryenko’s bedroom.
While inside, John starts searching Kuryenko’s personal desk. He opens drawer after drawer until he finds one locked. He notices an envelope opener and uses it, by prying around the drawer’s lock mechanism. After a few seconds the drawer abruptly pops open. “There it is!” John thought, but there were two DVDs, and both alike. John goes into a controlled panic and decides to place a crack in one of the DVDs and replace the other one there with the bogus one he’s carrying. Obviously, this was not the plan, but at this time and circumstance that’s all he could think of.
John hears the music stop downstairs, and footsteps start coming up the stairs, which was normal because people use it to go to their powder rooms. However, one set of footsteps starts coming towards the bedroom he’s occupying. Christine, just comes out of her powder room, and quickly sees Yuri going toward the room that John. She starts to faint at the top of stairs to create a diversion. Yuri Kuryenko is one of the party members who decides to go to his bedroom but turns around to help aid Christine’s. John, peeking through the bedroom door, because of the racket outside on the balcony, notices the situation that gives him the exact time to exit the bedroom, and go to the men’s powder room right next door to the bedroom. Just as John is closing the men’s bathroom door, Yuri Kuryenko looks up, and sees the bathroom door closing, and Kuryenko looks with suspicious concern. While helping Christine up, he feels that she is all right, as they exchange pleasantries, then Yuri decides to go to his bedroom.
While he was inside, he went straight to the desk, and sees, that it was still locked but he notices a small wooden sliver near the lock mechanism. He doesn’t recall if it was there before, but it looks suspicious. So, he takes the key from around his neck and places it into the lock’s mechanism and opens the drawer. There he notices the two DVDs and closes the door without inspecting each of them. Yuri leaves the bedroom and moves to his right to the bathroom to investigate who is inside. He enters the bathroom and searches every stall and finds no one.
As Yuri leaves the bedroom he looks to his right and down the stairs and sees John just stepping off the last step, at the bottom of the stairs. John turns his head and looks up at Yuri, and gives Yuri a smile, as Yuri returns with a suspicious stare. Yuri then watches John returned to his table consists down next to Christine. Yuri stands holding the balcony rail, as both Christine and John look up at Yuri. Yuri again displays a serious suspicious look and then turns and walks down stairs.